Silktone launches a gnarly Tone Bender Mk1.5-style stompbox with an Active Bias Monitor to help you find the sweet spot

Next to the entry, the page also holds calculated molecules
-- begin --
# 1
Formula: C5H14N
Source: the OMol25 dataset
Level of theory: ωB97M-V/def2-TZVPD

```
! wB97M-V def2-TZVPD RIJCOSX def2/J DEFGRID3
* xyz 1 1
C 1.0371 0.7766 -2.6803
N 1.1046 -0.0014 -1.3971
H 0.4111 1.6446 -2.5065
H 2.0451 1.0279 -2.9917
H 0.5808 0.1258 -3.4210
H 0.1437 -0.2707 -1.0557
H 1.5238 0.5594 -0.6550
H 1.6701 -0.8463 -1.4643
C 0.7936 0.3153 2.1179
C -0.5976 -0.3145 1.9636
C -1.3062 0.0106 0.6906
C -1.7259 -0.9157 -0.1807
H 0.8028 1.3516 1.7736
H 1.1535 0.2255 3.1393
H 1.5284 -0.2476 1.5276
H -1.2006 -0.0506 2.8364
H -0.4880 -1.3992 2.0168
H -1.4487 1.0558 0.4213
H -2.3761 -0.6491 -1.0083
H -1.5090 -1.9760 -0.1101
*
```

Results
Strongest force on any atom = 0.7 eV Å⁻¹
HOMO-LUMO gap = 10.50 eV
Energy above the lowest of the compared OMol25 structures with the same formula, charge and spin = 88.8 kJ/mol



# 2
Formula: C25H20N4O3STi
Source: the OMol25 dataset
Level of theory: ωB97M-V/def2-TZVPD

```
! wB97M-V def2-TZVPD RIJCOSX def2/J DEFGRID3
* xyz 1 2
Ti 0.0602 1.1983 -0.8474
O 2.6418 2.1667 2.0663
C 1.7501 2.0955 1.2350
N 1.7230 1.3602 0.0916
C 2.7825 0.5689 -0.3473
C 4.0311 0.4006 0.2472
C 4.9584 -0.4352 -0.3537
C 4.6632 -1.0943 -1.5377
C 3.4219 -0.9493 -2.1390
C 2.4699 -0.1255 -1.5472
N 1.1622 0.1222 -1.9744
C 0.6017 -0.4718 -3.0642
O 1.1079 -1.2956 -3.8126
C -0.8124 -0.0149 -3.2283
C -1.5920 -0.4638 -4.2889
C -2.8935 -0.0151 -4.4150
C -3.3690 0.8859 -3.4594
C -2.5461 1.2757 -2.4259
N -1.2746 0.8497 -2.2812
C 0.4697 2.8617 1.3810
C 0.2758 3.7230 2.4562
C -0.9038 4.4361 2.5511
C -1.8624 4.2526 1.5561
C -1.6054 3.3727 0.5256
N -0.4637 2.6735 0.4148
H 4.2622 0.9094 1.1716
H 5.9245 -0.5788 0.1085
H 5.4005 -1.7364 -1.9950
H 3.1894 -1.4776 -3.0491
H -1.1531 -1.1610 -4.9862
H -3.5254 -0.3389 -5.2247
H -4.3747 1.2732 -3.5154
H -2.9260 1.9529 -1.6660
H 1.0606 3.8047 3.1908
H -1.0831 5.1198 3.3639
H -2.8018 4.7808 1.5838
H -2.3514 3.2222 -0.2471
C 0.0203 -2.6200 -0.4412
S 0.3465 -1.3106 0.7825
O -0.6112 -0.2075 0.3150
C -0.6070 -2.0727 2.1069
C -1.9867 -1.9474 2.0959
C -2.7247 -2.5567 3.0972
C -2.0800 -3.2807 4.0899
C -0.6985 -3.3892 4.0953
C 0.0502 -2.7785 3.1020
H -1.0578 -2.7275 -0.5526
H 0.4719 -3.5473 -0.0985
H 0.4651 -2.3228 -1.3875
H -2.4668 -1.3633 1.3196
H -3.8012 -2.4766 3.1005
H -2.6588 -3.7529 4.8678
H -0.2065 -3.9502 4.8722
H 1.1271 -2.8442 3.0969
*
```

Results
<S²> = 0.75
Strongest force on any atom = 3.8 eV Å⁻¹
HOMO-LUMO gap (alpha / beta) = 6.59 / 6.75 eV



# 3
Formula: C5H8BN
Source: the OMol25 dataset
Level of theory: ωB97M-V/def2-TZVPD

```
! wB97M-V def2-TZVPD RIJCOSX def2/J DEFGRID3
* xyz 0 1
C -1.8920 0.8516 0.1718
C -0.7621 1.6548 0.2322
C -1.7224 -0.5149 0.0434
C 0.4777 1.0769 0.1890
C -0.4511 -1.0500 -0.0144
N 0.6401 -0.2496 0.0771
B 1.9708 -0.9303 -0.0620
H -2.8453 1.2702 0.0040
H -0.8729 2.7135 0.1316
H -2.5759 -1.1454 -0.1232
H 1.3598 1.6997 0.1393
H -0.2706 -2.0709 -0.3047
H 2.2142 -1.0220 -1.2153
H 2.8172 -0.2656 0.3398
H 1.9124 -2.0182 0.3914
*
```

Results
Strongest force on any atom = 2.1 eV Å⁻¹
-- stop --
End of the calculated molecules

Silktone Fuzz
(Image credit: Silktone)

There are no shortage of fuzz pedals on the market that replicate the classic sounds of a 1966 Tone Bender but Silktone’s puts a neat spin on the age-old Mk1.5 germanium recipe and offers a degree of control over its sound that makes it a worthy contender for the 21st-century pedalboard.

The Silktone Fuzz has a pair of germanium transistors – so far, so very traditional – but it not only offers a bias control to adjust the character of the fuzz from spluttery, glitchy gated madness to full and sticky, it has a digital meter on the front of the enclosure to let you know what the bias reading is.

Think of it as a fuzz-o-meter. Simply adjust the bias knob and when the fuzz-o-meter reads ~8.00, you are in for sticky fuzz. Fat fuzz is on tap at ~6.50, with the “Sweet Spot” around 4.50. Vintage sounds are found at ~2.00 while gated fuzz is on the menu when the meter reads ~1.10. Silktone has a name for this fuzz-o-meter; it is officially called the Active Bias Monitor and there is a patent pending on it. 

[Misplaced calculated molecules]
┌──
1.
The following is a quantum chemistry calculation of a structure of composition C35H63AlBBr2ClF2MgN2NaO17PS2, from OMol25.

Computed properties:
- Kohn-Sham gap: 1.30 eV
- Net charge: +2
- Energy relative to the best compared isomer or geometry (same formula, charge and spin): 0.00 kcal/mol
- Calculated total energy: -281213.4510 eV
- HOMO: -10.1 eV

Atoms and positions in Å:
C1 -0.12 -0.40 0.12
C2 1.20 0.40 0.17
C3 1.41 1.26 -1.09
C4 2.45 0.70 -2.08
C5 2.33 -0.78 -2.49
C6 1.75 -0.97 -3.90
C7 0.30 -1.52 -3.96
C8 -0.78 -0.42 -4.01
N1 -1.43 -0.33 -5.35
C9 -0.69 0.62 -6.24
C10 0.56 0.01 -6.86
C11 1.60 1.05 -7.30
C12 1.87 2.19 -6.24
C13 1.39 3.54 -6.83
C14 0.76 4.55 -5.83
C15 1.25 4.43 -4.38
C16 0.13 3.89 -3.48
C17 -2.73 0.19 -5.29
S1 -3.20 1.36 -4.27
S2 -3.95 -0.47 -6.44
C18 -4.79 -1.77 -5.50
C19 -5.83 -1.26 -4.47
C20 -6.55 0.02 -4.85
N2 -7.48 -0.14 -6.00
O1 -8.05 1.10 -6.32
B1 -9.39 1.25 -5.88
O2 -10.38 0.50 -6.43
O3 -9.64 2.16 -4.89
H1 -0.84 0.09 -0.52
H2 0.05 -1.41 -0.27
H3 -0.56 -0.44 1.11
H4 1.28 1.03 1.06
H5 2.02 -0.35 0.16
H6 0.47 1.43 -1.61
H7 1.75 2.24 -0.76
H8 3.43 0.89 -1.64
H9 2.41 1.34 -2.97
H10 3.34 -1.17 -2.52
H11 1.80 -1.42 -1.77
H12 1.73 0.01 -4.39
H13 2.40 -1.64 -4.48
H14 0.16 -2.09 -3.04
H15 0.22 -2.19 -4.81
H16 -0.34 0.54 -3.73
H17 -1.55 -0.68 -3.28
H18 -0.51 1.53 -5.65
H19 -1.36 0.92 -7.05
H20 0.24 -0.55 -7.74
H21 1.05 -0.71 -6.22
H22 2.60 0.54 -7.47
H23 1.28 1.45 -8.30
H24 2.95 2.25 -6.09
H25 1.40 1.92 -5.30
H26 0.60 3.31 -7.56
H27 2.19 4.01 -7.42
H28 -0.33 4.54 -5.88
H29 1.05 5.54 -6.19
H30 1.44 5.44 -4.03
H31 2.20 3.90 -4.25
H32 0.43 3.81 -2.44
H33 -0.67 4.64 -3.50
H34 -0.33 2.98 -3.87
H35 -5.18 -2.50 -6.20
H36 -4.02 -2.29 -4.92
H37 -6.60 -2.05 -4.42
H38 -5.42 -1.18 -3.47
H39 -5.90 0.87 -5.05
H40 -7.17 0.32 -4.00
H41 -6.97 -0.42 -6.84
H42 -8.21 -0.84 -5.83
H43 -11.21 0.70 -5.99
H44 -10.20 2.88 -5.21
C21 -2.19 -1.73 5.92
C22 -2.95 -1.20 4.73
O4 -1.91 -0.78 3.87
C23 -0.84 -1.57 4.13
O5 0.11 -1.67 3.42
O6 -0.99 -2.23 5.31
F1 -3.71 -0.13 5.06
H45 -1.93 -0.94 6.63
H46 -2.72 -2.52 6.44
H47 -3.57 -1.93 4.22
O7 3.97 3.38 -1.86
P1 4.88 4.58 -2.10
O8 5.66 4.42 -3.40
O9 5.88 4.68 -0.96
O10 4.01 5.82 -2.21
Al1 2.91 -1.10 1.53
C24 3.24 -1.34 6.69
C25 2.03 -0.50 6.37
O11 1.19 -0.31 7.53
C26 1.49 0.58 8.44
O12 2.45 1.36 8.45
O13 0.56 0.55 9.37
C27 0.89 1.41 10.51
H48 2.94 -2.27 7.16
H49 3.80 -1.56 5.78
H50 3.90 -0.83 7.39
H51 1.42 -1.02 5.64
H52 2.30 0.46 5.94
H53 1.14 2.41 10.19
H54 1.74 0.96 11.03
H55 0.05 1.43 11.18
Cl1 4.42 0.61 9.12
Na1 2.85 1.91 -8.85
Br1 -1.12 2.38 9.33
C28 -2.47 3.73 9.75
C29 -3.74 3.52 8.98
Br2 -3.56 4.07 7.12
H56 -2.01 4.70 9.55
H57 -2.65 3.63 10.82
H58 -4.54 4.13 9.38
H59 -4.05 2.48 8.97
C30 5.31 -7.27 5.89
C31 4.46 -6.41 6.46
C32 4.06 -5.14 5.75
O14 3.27 -4.40 6.30
C33 4.65 -4.86 4.45
C34 5.50 -5.74 3.89
C35 5.87 -7.02 4.59
O15 6.64 -7.80 4.05
O16 6.06 -5.53 2.71
O17 3.92 -6.60 7.64
H60 5.63 -8.21 6.36
H61 4.37 -3.94 3.96
H62 6.63 -6.30 2.52
H63 3.34 -5.83 7.82
F2 1.54 -3.24 -1.03
Mg1 6.77 -9.66 6.54
└──

Silktone Fuzz

(Image credit: Silktone)

Besides the bias control, there is a Classic/Raw toggle switch that controls the bias ratio and bass filtering, with the Raw mode offering a more corpulent fuzz tone, and there are dials for Volume, Fuzz and Clean-up. 

The Volume dial controls output volume, rolling off some highs if you back it off, while the Fuzz adjusts transistor gain. Silktone advises diming this and rolling back your electric guitar’s volume knob to clean things up.

And speaking of which, Clean-up controls input gain, much like your guitar’s volume knob, only this can be set-and-forgot for cleaner overdrive sounds or for fine-tuning when the pedal comes late in the signal path. Indeed, the Silktone Fuzz is designed to be placed anywhere on the signal chain. It is true bypass and takes a 9V DC power supply. 

The Silktone Fuzz’s first batch is sold out but an email waiting list is open for the second, which should be ready mid-March. You can sign up at Silktone.

Jonathan Horsley

Jonathan Horsley has been writing about guitars and guitar culture since 2005, playing them since 1990, and regularly contributes to MusicRadar, Total Guitar and Guitar World. He uses Jazz III nylon picks, 10s during the week, 9s at the weekend, and shamefully still struggles with rhythm figure one of Van Halen’s Panama.